=====
# Ta2NbBOs

An optimized crystal structure of Ta2NbBOs (PBE-GGA, the Alexandria database).

Summary:
Crystal system: tetragonal
Volume, Å³/atom: 15.8
D(E_F), states/eV per cell: 3.507
E, eV per formula unit: -52.1

Cell lengths 4.470, 4.470, 3.950 Å; angles 90.00, 90.00, 90.00 degrees
Space group P4/mmm (No. 123)
One atom of each set of equivalent atoms:
Ta 0.000 0.500 0.000 [2 per cell]
Nb 0.000 0.000 0.500 [1 per cell]
B 0.500 0.500 0.000 [1 per cell]
Os 0.500 0.500 0.500 [1 per cell]

=====

## one
VASP calculation (PBE-GGA) on a relaxed NaSrCa2Rh crystal.

Cell: 5.475 5.475 5.909 Å, 90.00 90.00 90.00°
Fractional coordinates of all 5 atoms:
1 Sr 0.500 0.500 0.500
2 Ca 0.000 0.500 0.000
3 Ca 0.500 0.000 0.000
4 Na 0.000 0.000 0.500
5 Rh 0.000 0.000 0.000



## two
VASP calculation (PBE-GGA) on a relaxed NaSrCa2Rh crystal.

Cell: 5.602 5.602 5.908 Å, 90.00 90.00 90.00°
Fractional coordinates of all 5 atoms:
1 Rh 0.000 0.000 0.000
2 Sr 0.000 0.000 0.500
3 Ca 0.500 0.000 0.000
4 Ca 0.000 0.500 0.000
5 Na 0.500 0.500 0.500



Looking at the structures above, which would you pick as the most stable? I would pick two.

=====

First-principles (PBE) data for a geometry-optimized Mg2TaSi structure, as listed in the Alexandria database.

Summary:
For the total moment, the calculation gives 0.0 μB/cell. As for the space group: Pm. As for the formation energy from raw total energies: 1.62 kcal/mol of atoms. Its uncorrected energy is -5.046 eV per atom.

Cell: 3.7590 3.2550 6.4850 Å, 75.29 90.00 90.00°
With the nearest neighbours (Å) after each atom.
Fractional coordinates of all 4 atoms:
Mg (0.0000, 0.0702, 0.9840)  1 Si 2.61
Mg (0.5000, 0.4325, 0.2575)  2 Si 2.70, 4 Mg 3.02
Si (0.0000, 0.2800, 0.5676)  4 Ta 2.60, 3 Mg 2.61-2.70
Ta (0.5000, 0.7172, 0.6909)  4 Si 2.60



First-principles (PBE) data for a geometry-optimized LiTe8Au2 structure, as listed in the Alexandria database.

Summary:
For the total moment, the calculation gives 0.0 μB/cell. As for the space group: C2/m. As for the formation energy from raw total energies: -0.95 kcal/mol of atoms. Its uncorrected energy is -3.096 eV per atom.

Cell: 7.4907 6.6731 6.6731 Å, 78.31 85.52 85.52°
With the nearest neighbours (Å) after each atom.
Fractional coordinates of all 11 atoms:
Li (0.0000, 0.0000, 0.0000)  2 Au 2.81, 6 Te 2.87-2.93
Te (0.1227, 0.1365, 0.5694)  1 Au 2.81, 1 Li 2.93, 1 Te 3.01
Te (0.1227, 0.5694, 0.1365)  1 Au 2.81, 1 Li 2.93, 1 Te 3.01
Te (0.8773, 0.8635, 0.4306)  1 Au 2.81, 1 Li 2.93, 1 Te 3.01
Te (0.3265, 0.5570, 0.5570)  1 Te 2.75, 1 Au 2.88
Te (0.8773, 0.4306, 0.8635)  1 Au 2.81, 1 Li 2.93, 1 Te 3.01
Te (0.3210, 0.1300, 0.1300)  2 Au 2.73-3.04, 1 Li 2.87
Te (0.6790, 0.8700, 0.8700)  2 Au 2.73-3.04, 1 Li 2.87
Te (0.6735, 0.4430, 0.4430)  1 Te 2.75, 1 Au 2.88
Au (0.6781, 0.1641, 0.1641)  5 Te 2.73-3.04, 1 Li 2.81
Au (0.3219, 0.8359, 0.8359)  5 Te 2.73-3.04, 1 Li 2.81

=====

(1)
A relaxed LiY2Hg3 crystal, computed with PBE-GGA.

The structure in CIF format:
```
data_LiY2Hg3
_chemical_formula_sum 'Li2 Y4 Hg6'
_cell_length_a 5.1361
_cell_length_b 5.1361
_cell_length_c 12.5352
_cell_angle_alpha 90.00
_cell_angle_beta 90.00
_cell_angle_gamma 120.00
_space_group_name_H-M_alt 'P 1'
_space_group_IT_number 1
_space_group_name_Hall 'P 1'
loop_
_atom_site_label
_atom_site_fract_x
_atom_site_fract_y
_atom_site_fract_z
_atom_site_occupancy
Li1 0.3333 0.6667 0.6650 1
Li2 0.6667 0.3333 0.3350 1
Y1 0.6667 0.3333 0.8205 1
Y2 0.0000 0.0000 0.0000 1
Y3 0.0000 0.0000 0.5000 1
Y4 0.3333 0.6667 0.1795 1
Hg1 0.3333 0.6667 0.9112 1
Hg2 0.0000 0.0000 0.7456 1
Hg3 0.3333 0.6667 0.4253 1
Hg4 0.6667 0.3333 0.5747 1
Hg5 0.0000 0.0000 0.2544 1
Hg6 0.6667 0.3333 0.0888 1
```

## Properties
Space-group type = No. 164
DOS at the Fermi energy = 7.61 states/eV/cell
E_form = -0.47 eV/atom
Spin magnetization = 0.000 μB/f.u.



(2)
A relaxed Li2YHg crystal, computed with PBE-GGA.

The structure in CIF format:
```
data_Li2YHg
_chemical_formula_sum 'Li2 Y1 Hg1'
_cell_length_a 5.1304
=====

Duplicate only the lines above with the word "is" in them, please.

For the total moment, the calculation gives 0.0 μB/cell. As for the space group: Pm. As for the formation energy from raw total energies: 1.62 kcal/mol of atoms. Its uncorrected energy is -5.046 eV per atom.
For the total moment, the calculation gives 0.0 μB/cell. As for the space group: C2/m. As for the formation energy from raw total energies: -0.95 kcal/mol of atoms. Its uncorrected energy is -3.096 eV per atom.